Meeting documentation

Meeting documents

Licensing Sub Committee
Wednesday, 8th October, 2008 6.30 pm

Declaration of interests - members are reminded that following the adoption by Council of the new Code of Conduct, any declaration of interest should be made having regard to the new code. In particular, members must make clear the nature of the interest and whether it is 'personal' or 'prejudicial'.

The Monitoring Officer would like to remind members that when they are considering whether the following items are exempt information under the relevant paragraph under part 1 of Schedule 12A of the Local Government Act 1972 they must have regard to the public interest test. This means that members must consider, for each item, whether the public interest in maintaining the exemption from disclosure outweighs the public interest in making the item available to the public.

That Councillor N Smith take the Chair for the remainder of the meeting.
There were no apologies for absence.
There were no declarations of interest.
The Chairman explained the procedure to be followed and asked all parties to introduce themselves. The Hearing Regulations 2005 stated that the Authority must allow parties an equal period of time in which to present the evidence. It was agreed that the maximum time for each presentation be 10 minutes.

_Misplaced records of crystals_
No. 1
# GGA-PBE Si2SnRhO, optimized geometry
# excess energy over the best structure of this formula in the dataset = 62.4 meV/atom
# formation energy (no corrections) = -3.6 eV per formula unit
# space group = No. 10
# calculated total energy = -6.16 eV per atom
data_Si2SnRhO
_symmetry_space_group_name_H-M 'P 1'
_symmetry_Int_Tables_number 1
_cell_length_a 5.061
_cell_length_b 3.041
_cell_length_c 5.684
_cell_angle_alpha 90.00
_cell_angle_beta 107.36
_cell_angle_gamma 90.00
loop_
_symmetry_equiv_pos_as_xyz
'x,y,z'
loop_
_atom_site_label
_atom_site_type_symbol
_atom_site_fract_x
_atom_site_fract_y
_atom_site_fract_z
O1 O 0.500 0.000 0.500
Sn1 Sn 0.500 0.500 0.000
Rh1 Rh 0.000 0.500 0.000
Si1 Si 0.146 0.000 0.355
Si2 Si 0.854 0.000 0.645


No. 2
# GGA-PBE Li3ZnH, optimized geometry
# excess energy over the best structure of this formula in the dataset = 799.8 meV/atom
# space group = No. 221
# calculated total energy = -1.45 eV per atom
data_Li3ZnH
_symmetry_space_group_name_H-M 'P 1'
_symmetry_Int_Tables_number 1
_cell_length_a 4.941
_cell_length_b 4.941
_cell_length_c 4.941
_cell_angle_alpha 90.00
_cell_angle_beta 90.00
_cell_angle_gamma 90.00
loop_
_symmetry_equiv_pos_as_xyz
'x,y,z'
loop_
_atom_site_label
_atom_site_type_symbol
_atom_site_fract_x
_atom_site_fract_y
_atom_site_fract_z
H1 H 0.500 0.500 0.500
Li1 Li 0.000 0.000 0.500
Li2 Li 0.000 0.500 0.000
Zn1 Zn 0.000 0.000 0.000
Li3 Li 0.500 0.000 0.000


> The lowest excess energy over the best structure of this formula in the dataset belongs to which entry?

Si2SnRhO


> Which formula does entry 1 have?

Si2SnRhO


Copy entry 1 word for word.
# GGA-PBE Si2SnRhO, optimized geometry
# excess energy over the best structure of this formula in the dataset = 62.4 meV/atom
# formation energy (no corrections) = -3.6 eV per formula unit
# space group = No. 10
# calculated total energy = -6.16 eV per atom
data_Si2SnRhO
_symmetry_space_group_name_H-M 'P 1'
_symmetry_Int_Tables_number 1
_cell_length_a 5.061
_cell_length_b 3.041
_cell_length_c 5.684
_cell_angle_alpha 90.00
_cell_angle_beta 107.36
_cell_angle_gamma 90.00
loop_
_symmetry_equiv_pos_as_xyz
'x,y,z'
loop_
_atom_site_label
_atom_site_type_symbol
_atom_site_fract_x
_atom_site_fract_y
_atom_site_fract_z
O1 O 0.500 0.000 0.500
Sn1 Sn 0.500 0.500 0.000
Rh1 Rh 0.000 0.500 0.000
Si1 Si 0.146 0.000 0.355
Si2 Si 0.854 0.000 0.645


> The lowest calculated total energy belongs to which entry?

Si2SnRhO

The Licensing Enforcement Officer presented the report and highlighted background information and the grounds for the review. In response to a question from Members, the Licensing Enforcement Officer stated that the game that was usually played in the car park was football and that the premises licence holder had been at the premises for six years.

There were no questions from the other parties.

Mr T Cawthorne then presented the application from the Environmental Protection Department as detailed within the report.

A Member asked if the noise from the road was contributing to the disturbance. Mr Cawthorne stated that officers had visited the area and recorded the noise level inside a neighbouring property, the road was busy and did contribute, but the noise from the public house could be clearly heard over the road. Mr Cawthorne also stated that the noise levels were unacceptable whether a live band were playing or not, from the number of complaints it was possible to see that when the noise level recordings were taken it was not an isolated occasion.

In response to a question from a Member, Mr Cawthorne stated that when there was not live music playing, the noise was mainly from the customers in the beer garden after 11.00pm.

A Member stated that there was also a footpath and a rugby club in the proximity and asked if they contributed to the level of noise. Mr Cawthorne stated that the rugby club was set back a considerable distance from the road and no complaints had been received. With regards to the footpath, it was set in the centre of a residential area and was surrounded by houses; this also did not raise any concerns.

A Member asked if the problem with the noise was a management issue or a building issue. Mr Cawthorne stated that the building could easily be improved by making the windows and ventilation points soundproof. The situation could also be improved if restrictions on the times that alcohol could be consumed in the beer garden were introduced.

Mr Michie, an interested party, explained that the beer garden was very comfortable with shelter, furniture and heaters which meant customers sat outside for their entire stay. He asked that if restrictions on the consumption of alcohol outside were introduced, how it would be enforced. Mr Cawthorne explained that if it was a condition on the licence, the premises licence holder would have to adhere to it and would be responsible for enforcing it.

There were no questions from the premises licence holder.

Mr Michie, then presented his representation as detailed within the agenda papers. He explained that the public house was now a detriment to the area and his personal life, especially since the longer drinking hours were introduced.

In response to a question from a Member, Mr Michie stated that he was aware that a meeting had been arranged between the residents, the licence holders and Council Officers but unfortunately he could not attend.

In response to a question from a Member, Mr Michie stated that the recent changes to the public house were that the car park was always very full which indicated the customers were not local. The public house was now more of a 'city pub' than a 'local pub' and it was not appropriate for late night drinking in that area.

Mr Michie stated that he only had contact with the premises licence holder once in the last two years and it was not a pleasant experience.

There were no questions from the Environmental Protection Department or the Premises Licence Holder.

Mrs Ray, an interested party, then presented her family's representation as detailed within the agenda papers. She explained that the family did not want the public house to fail as it was very popular and they had visited it on many occasions, but the constant noise was disrupting her family life and she asked for some respect for the residents.

Miss Ray stated that she was currently studying for her GCSE's and the disruption from the public house was keeping her awake and causing her to be extremely tired, this was affecting her studies.

A Member asked if the smoking shelter was in breach of the Planning Regulations as it seemed to be more than 50 percent enclosed. The Licensing Enforcement Officer explained that currently the shelter was not compliant but she had been dealing with it in previous weeks.

There were no further questions for the interested parties.

Mrs K Hughes, representing the premises licence holder, addressed the panel. With regards to the children playing outside the public house, she explained that there had been no representations received from the police or other interested parties, which indicated they had no concerns for the children being put at risk. She also stated that Children were very welcome at the premises and were supervised whilst there. Mrs Hughes stated that secondary glazing had been installed in the large bay window where the live music was played and temporary blocks had been placed in the ventilation systems to block the noise. Mrs Hughes also stated that he premises was a community public house and informed the panel that the licence holder walked around the premises nightly to ensure the level of noise was not too high. Mr Ball felt that he was being targeted by some of the residents, with posters being erected with regards to drumming up support for this meeting.

Mrs Hughes stated that currently the premises was licensed to hold live entertainment until 2.00am, Mr Ball would be happy to reduce that to 1.00am. With regards to the smoking shelter, Mrs Hughes stated that it had now been altered to make it compliant and Mr Ball was happy to restrict the consumption of alcohol in the beer garden after 12 midnight. Mrs Hughes stated that the children playing in the car park did not always come with the customers in the premises and Mrs Ball has moved the children away from the premises in the past.

A Member asked Mr Cawthorne if he had taken a noise level reading since the secondary glazing had been installed. Mr Cawthorne stated that he had not been made aware of the installation and had therefore not arranged another test. He explained that although one of the windows had been secondary glazed it would not make a huge difference as the others windows were not. He also explained the importance of the most appropriate forms of glass to use for the secondary glazing.

A Member asked Mr Ball if the events that occurred at the premises were logged. Mr Ball stated that they were and it showed that on the occasion that Mr Michie had filmed children playing football in the car park, there had been an event with the local football team, this explained why they were there. The log book was circulated to Members.

In response to a question from a Member, Mr Ball stated that he had not intentionally changed the direction of the public house; it had just become very popular. Mr Ball stated that live music was played each Friday and Saturday night between 9.00pm and 11.30pm, recorded music was played at other times.

In response to a question from Mr Cawthorne regarding the secondary glazing, Mr Ball stated that it had been installed professionally and that eventually the other windows would be addressed.

All parties gave a brief closing statement.

The Licensing Sub Committee adjourned to consider the application at 8.12pm and re-convened at 9.37pm.


The following modifications be made to the premises licence:-

- No alcohol to be taken out of the premises for consumption within the boundary of the land on which the premises are situated after 11.00pm on any day.

- All doors and windows to be closed during regulated entertainment except for access and egress.

- The standard finish timing for all regulated entertainment shall be midnight each day.

- All references in the non-standard hours to "no time restrictions in relation to entertainment, which is not public but promoted for private gain" to be removed from the Licence.

- All external ventilation extracts to be sound proofed to the satisfaction of the Environmental Protection Department of North West Leicestershire District Council.
Published on Wednesday, 15th October, 2008
The meeting closed at 9.43pm.

Attendance Details

Councillors M J Blain, P Purver and N Smith.

Officers: Miss C Gale, Miss R Levy and Mr D Lucas (Legal Advisor)

Applicant: Mr T Cawthorne - Environmental Protection Department (NWLDC)

Premises Licence Holder: Mr J Ball, Mrs K Hughes (legal representative)

Interested Parties: Mr I Michie, Miss A Ray, Mrs J Ray, Mr O Ray and Mr R Ray.

In attendance: Councillor T Gillard and Mr S Eyre (NWLDC)